Encrypted = you've got something to hide ?
So how on earth did they know it was "useful to a terrorist" or not, if it was encrypted and they didn't have the key ?
Wait ... that's why all those lost MOD disks aren't encrypted .......
A landmark ruling over the Regulation of Investigatory Powers Act 2000 (RIPA) may just have reduced our rights to refuse to self-incriminate. Or not, if you accept the arguments of the judges involved. The verdict handed down in the Criminal Division of the Court of Appeal last week, relates to a plot in which the the …
well time to re-read 1984 and brave new world and then remind myself of where we are today relatve to those works of fiction?
- 28 days imprisonment without trials
- CCTV everyywhere
- ANPR database linked to all the cameras (and data held for 5 years)
- National Database of every phone call
- All ISP's logging who emailed who for 2 years
- People being refused the abillity to protest/demonstrate anywhere near the House of Commons
- Man arrested and charged for writing a story (shades of thought police)
- 2 years for forgettin your encryption key..
I'll get my coat and foxtrot oscar somewhere less totalitarian...
The obvious counter to this is to arrange that the key is automatically destroyed by the physical process of removing the encrypted device. Then one could claim that the authorities themselves have actually removed your ability to provide the requested key. A sort of "key booby trap" if you like... This is done in many hardware encryption devices already as an anti-tamper measure. My company was producing this form of self protection some 15 years ago on our smart card readers.
You can't win. Either you give them the evidence to prove your guilt and send you to prison, or they send you to prison because you won't help them prove your guilt.
"it would be very unlikely that the police would seek to view the contents of a hard drive where they did not already have evidence to charge someone under other legislation"
Yes, because the police/government/councils would never abuse the law, such as using anti-terrorism laws for things they weren't meant for, would they?
They wouldn't, for example, use them to spy on parents or dog-walkers, or to seize assets of Icelandic banks, now would they?
In my view, they are the good guys in this. Control orders (restrictions imposed by Jacqui Smith without evidence or conviction or judicial process) have no place in Europe, they violate the ECHR, are an abomination to justice.
The threat to democracy is Jacqui Smith and Gordon Brown here. Brits have a duty to break every control order under ECHR, to enforce the right to judicial process that is a fundamental right written into British law.
Presumably if a jury finds them innocent, JS will eliminate trial by jury. She really is not fit to hold a position of power.
If the police can't get into it and they didn't know it existed then it's not important to whoever owns it and can be deleted and fully unrecoverabl-inated.
At least then the content is gone forever- and if they actually have some sort of a case against someone you'd hope it involved more than just the presence of an encrypted file.
It horrifys me that Jaqui et al are so determined to increase the number of prosecutions- apparently to the extent that they'll gladly change the law to let them convict innocent (i.e. not found guilty) people. Rather than requiring that real evidence actually exists.
@AC THAT would be impressive! "You did WHAT? Removed the hard drive?! YOU FOOL! YOU JUST REMOVED MY ABILITY TO DECRYPT IT!"
Doesn't seem too impossible to achieve either...
(Records of molecules from another source follow)
~~~
Entry 1:
~~~
(Here the page continues)
Everyone create an encrypted file on their drive, get arrested, refuse to give the key.
Wait until your sentence is almost over, then demand a retrial, give the key to the blank encrypted file and sue the a**e of the plod for wrongful conviction.
BTW, is it true that the store guy who reported Gary Glitter's drive was sacked for looking at it in the first place?
Go luser on them:
"I ran a program which said it would delete files which weren't really deleted (to stop hackers putting viruses in my Word). It said it filled my space with a file, then put random letters into the file, and this made sure anything before was deleted. When it ran, though, something about "Low hard disk space" flashed up, and "Resizing pages" too. I don't really know what It means, and didn't know what the file was. I just left it there. Did it make my Word bigger?
What's TruthCrypt?"
How exactly can they prove something is encrypted? Encrypted data looks exactly like random data. It would seem trivial to generate a large file of random data, drop it on someone's PC and when the non-existent key is demanded they get in hot water under RIPA. Similarly there is no way to prove that a person knows the key and is willfully withholding it.
Pity this is the UK where justice no longer lives, only stupidity.
I recall writing about abuse of this very act, was told to leave the country as those who had nothing to hide had nothing to fear. I wonder if anyone still believes that now? Especially when terrorism charges are trumped up to unlawfully seize assets. Do they now realise that the laws apply to everyone and not just terrorists.
Stalin would be proud.
Dunno if TrueCrypt does this but (with a bit of block shuffling to undermine comparison of the file with any backups)... create encrypted files with >1 part, with different passwords for each. Depending on which password is given "a" file is opened... you choose which one. How would they prove there was *another* part? As long as you give "a" password you have complied with the law.
[However, ruling a password in the same category as urine is ontologically like, so, waaay off base... it's not like a document, body-tissue etc... If I don't tell you what it is (that's my will) you can't know what I know... so telling or not telling is just like keeping my mouth shut.. I do hope there's no RIPA provision to force me to reveal the GPS coordinates of my anthrax/U235/ricin stash. Oops]
You can can take the piss but "keep out of my miiiind!"
... the one with "Ergo dweeb sum" (embossed in gold-leaf...)
BTW. Are you pondering what I'm pondering? (Key generation through hashing vocal stress patterns... it will only decrypt if I am calm... just love the thought of plods & plodesses offering me cups of tea, maybe a nice biscuit, a soothing massage, etc. etc.
its not up to them to prove there is encrypted data, its up to you to prove there isn't.
or convince the court that you have genuinely forgotten the passphrase, all they have to do is find a file they cannot read, claim its encrypted and force you to decode it for them.
note I'm assuming that if you do decode the file, and its not what they expected its now up to you to prove there isn't anything else in there as well.
wonderful law. guilty until proven innocent, and proven to a standard thats a moving target.
There is still one course open to invalidate this ridiculous provision - an appeal to 'Natural Justice'.
If I keep my secret documents in a safe, the authorities can ask me for the key / combination all they like - I am perfectly free to refuse, and it is up to them to employ a competent locksmith to access the contents.
If I keep my secret documents in an encrypted file, the situation should be no different - but this ludicrous Neues Arbeit government seems to think that they can treat this as a special case.
This is manifestly unjust, and any judge worth his salary should be quick to invalidate any prosecutions on that basis alone.
so when will i be required by law to hand over copies of the keys to my house and car to the police?
there is software available to encrypt files, and include a duress code.... give them the wrong code and it will decrypt the file to a harmless text file of book... George Orwell, 1984 will be a good one.
no doubt they will make it illegal to have such software...
Mines the one with the latest copy of 'newspeak' in the pocket !!!
Hmmm... small thermit charge in the hard drive? I think (whistles nonchalantly) that some people consider the only way to properly secure information - even on encrypted devices - is to fit a special port to the device... into which the barrel of a gun can be placed at short notice.
Short of physical destruction it ain't secure... but cheer up, we shall welcome our soon-to-be quantum computing overloads on the basis that passwords will be irrelevant.
So I can see that a GPG private key might arguably have a separate existence, it's a block of gibberish.
But the _password_ that symmetrically(?) encrypts that GPG key and makes it usable - that surely fails the separate existence test?
And I think that this would be true of encrypted drives / files where you use a keyfile to access the contents.
Hell o I'm Selling secure disk drives. The encryption is on the drive controller. It a secret encryption. It works like this, you enter the right password and every thing shows up. Enter the wrong password and all you see is dos prompt i f you boot from it, a blank drive from another OS. Enter a special password and a diamond tip blade runs across the heads.
TrueCrypt had a feature where different passwords yield different content and there is no way to prove or disprove the existence of the 2nd password.
What scares me is I encrypt some spreadsheets. I'd be hard pressed to remember the password to a file I deleted in 2002, but since it is in my personal documents folder my backup software has a copy of it.
So if I were to travel to the UK I could server 2 years for forgetting the password to a document I deleted 6 years ago, because a copy of it exists in backup form.
I wonder how many people have at lease one encrypted file whose password has been forgotten.
That is a crazy law.
"The maximum penalty for failing to hand over an encryption key on demand is two years"
Remember folks, that's the *maximum*. First offence, previous good character, profuse apology, sincere regret... 'I really have forgotten but I can't prove it and you don't believe me'... guilty plea... you might not even get a custodial sentence at all. You don't impose the maximum sentence on first offenders unless there's some serious aggravating factors!
Hah! You think physical destruction is secure? I watched an episode of CSI once where they managed to spot, in a photograph taken with a mobile phone, a reflection in the cornea of a passer-by, of the smoke from some documents that some bad guy was burning, and reconstruct the information from that.